Saturday, March 29, 2014

Ghost Lovers

Orpheus and Eurydice by Sir Edward John Poynter (19th century)
The last couple of posts (here, here, and here) have dealt with the way in which love and death are intertwined in Renaissance literature, provoking melodramatic liebestod finales to a host of 15th and 16th century narratives. In the process of considering these narratives in which the desire to love lead to a desire for death, however, I was reminded of the stories in which death failed to create an insurmountable boundary for the lovers. The surge in popularity of classical Greek mythology in humanist Renaissance Europe makes me think that it would not be a huge leap of faith to assume the tale of Orpheus and Eurydice was fresh in the minds of poets and authors composing sentimental romances.

Orpheus is prepared to descend to the underworld to bring back his lover, not accepting death as the final act of his love story. But in his refusal to accept Eurydice's death, he confirms its permanence, looking back over his shoulder to catch a glimpse of her ghost materializing behind him. In popular folk narratives, stories in which lovers return from the grave for one final visit are not uncommon. This "one final visit," I believe, can be seen to function in two ways. On the one hand, the ghost returns to comfort their lover and properly say goodbye. On the other hand, it affirms the finality and permanence of death's grip, ending with the ghost vanishing back into the realm of the dead.
Orpheus and Eurydice on the Banks of the Styx by John Roddam Spencer Stanhope (19th century)
Although none of the 15th century Iberian stories that I've looked at over the past week narrate a lover returned from the dead, I do recall an Irish folksong that my mother always used to sing when I was little. It is a night visiting song, in which the ghost of a young woman's lover who died at sea wakes her one night to say one last farewell.

Here is a nice version of the song:

A similar tale is recounted in "The Night Visiting Song" by Luke Kelly:

These are potent stories that emerge across many cultures and historical periods. I recently stumbled across a cajun-French song from Louisiana, "Pa Janvier," performed beautifully by the International Blues Express. The song is a sorrowful appeal to Father January (Pa Janvier), the allegorical figure for winter, whose icy cold wind stole the health and life of a young woman. The song is the lament of the young woman's lover who has survived her, and he pleads with Father January to return to him his love.

**These crystal structures were left in the article by mistake:**
********
Entry 1:
First-principles (GGA-PBE) data for a geometry-optimized AlCrFe structure, as listed in the Alexandria database.

a b c (Å): 2.785 2.785 9.109
angles (deg): 90.00 90.00 90.00
Space group I4mm (No. 107)
Unique sites:
Al 0.000 0.000 0.000
Cr 0.000 0.000 0.318
Fe 0.000 0.000 0.668

Calculated density ... 6.34 g cm⁻³
Formation energy ... -178 meV/atom
DOS(E_F) ... 2.7 states/eV/f.u.

=====

Entry 2:
First-principles (GGA-PBE) data for a geometry-optimized Tb3Pr4Y structure, as listed in the Alexandria database.

a b c (Å): 23.802 3.529 6.892
angles (deg): 90.00 106.63 90.00
Space group C2/m (No. 12)
********
**Back to the article:**

They were recorded doing the song by the 78 Project, a husband and wife duo traveling the country recording traditional musicians on a 78 recording machine, very much in the style of Alan Lomax. Take a listen to these incredible musicians (who hail from the American Delta and West Africa) perform the doleful tune for their recording session:

Do you know any night visiting songs? What are your favorite tales of ghost lovers?

Until next time - keep rustling!


  1. This is another of my favorites -- the great Sandy Denny singing "She Moves Through the Fair"

  2. There are also so many versions of Lady Margret and Sweet Williams Ghost. I can't seem to remember who sang my favorite version (that I might find it on youtube -- though there are plenty of versions there by others.) What I loved about the song, is that the ghost come to Margaret, begging to be freed of his "plighted trouth" of marriage. She refuses and instead makes demands of the ghost -- take me to my father's hall, as they go at midnight of course) the "gares flew open" so that they couple may pass and she will be married. Once the ghost has fulfilled his promise to marry her, they go to the church and she lays her hands "upon his breast" giving back his plighted and asking the ghost to find rest in heaven. It is never sure to me whether it is the longing of the woman or the ghost to finish the undone task that holds him to the earth. You can hear a lovely and very slow version from Kate Rusby here:

-- Materials data from another source follow --
Record 1
Here is crystalline MnPF2 at its relaxed geometry from Alexandria. Energies are from GGA+U.

For the volume, the calculation gives 208 Å³/cell. Its energy above the lowest structure with this stoichiometry is 23.7 kJ/mol of atoms. The magnetization is 2.99 Bohr magnetons per cell.

Lattice parameters (Å, degrees): 2.910 2.910 28.404 90.00 90.00 120.00
Sites, in units of the cell vectors:
1 Mn 0.000 0.000 0.000
2 Mn 0.333 0.667 0.667
3 Mn 0.667 0.333 0.333
4 P 0.000 0.000 0.500
5 P 0.333 0.667 0.167
6 P 0.667 0.333 0.833
7 F 0.000 0.000 0.374
8 F 0.000 0.000 0.626
9 F 0.333 0.667 0.040
10 F 0.333 0.667 0.293
11 F 0.667 0.333 0.707
12 F 0.667 0.333 0.960

---

Record 2
Here is crystalline MnP3F at its relaxed geometry from Alexandria. Energies are from GGA+U.

For the volume, the calculation gives 83 Å³/cell. Its energy above the lowest structure with this stoichiometry is 0.0 kJ/mol of atoms. The magnetization is 4.49 Bohr magnetons per cell.

Lattice parameters (Å, degrees): 4.370 4.370 4.370 90.00 90.00 90.00
Sites, in units of the cell vectors:
1 Mn 0.000 0.000 0.000
2 P 0.000 0.500 0.500
3 P 0.500 0.000 0.500
4 P 0.500 0.500 0.000
5 F 0.500 0.500 0.500

---

Record 3
Here is crystalline MnP3F at its relaxed geometry from Alexandria. Energies are from GGA+U.

For the volume, the calculation gives 87 Å³/cell. Its energy above the lowest structure with this stoichiometry is 1.3 kJ/mol of atoms. The magnetization is 2.90 Bohr magnetons per cell.

Lattice parameters (Å, degrees): 4.432 4.432 4.432 90.00 90.00 90.00
Sites, in units of the cell vectors:
1 Mn 0.000 0.000 0.000
2 P 0.000 0.000 0.500
3 P 0.000 0.500 0.000
4 P 0.500 0.000 0.000
5 F 0.500 0.500 0.500

---

Record 4
Here is crystalline MnPF2 at its relaxed geometry from Alexandria. Energies are from GGA+U.

For the volume, the calculation gives 299 Å³/cell. Its energy above the lowest structure with this stoichiometry is 0.0 kJ/mol of atoms. The magnetization is 19.88 Bohr magnetons per cell.

Lattice parameters (Å, degrees): 6.210 6.210 7.747 90.00 90.00 90.00
Sites, in units of the cell vectors:
1 Mn 0.000 0.000 0.000
2 Mn 0.000 0.500 0.250
3 Mn 0.500 0.000 0.750
4 Mn 0.500 0.500 0.500
5 P 0.000 0.000 0.500
6 P 0.000 0.500 0.750
7 P 0.500 0.000 0.250
8 P 0.500 0.500 0.000
9 F 0.129 0.250 0.125
10 F 0.250 0.629 0.375
11 F 0.250 0.871 0.875
12 F 0.371 0.250 0.625
13 F 0.629 0.750 0.625
14 F 0.750 0.129 0.875
15 F 0.750 0.371 0.375
16 F 0.871 0.750 0.125

---

Record 5
Here is crystalline MnPPd2F at its relaxed geometry from Alexandria. Energies are from GGA+U.

For the volume, the calculation gives 83 Å³/cell. The magnetization is 4.92 Bohr magnetons per cell. The final energy comes out at -5.4914 eV per atom.

Lattice parameters (Å, degrees): 4.615 4.615 3.917 90.00 90.00 90.00
Sites, in units of the cell vectors:
1 Mn 0.000 0.000 0.000
2 P 0.500 0.500 0.500
3 Pd 0.000 0.500 0.500
4 Pd 0.500 0.000 0.500
5 F 0.500 0.500 0.000

---

Record 6

    You might also look at the classic "The Unquiet Grave" which I learned as a kid from Joan Baez (so many beautiful versions of this ou there too). Here it is more about the yearning of the living disturbing the rest of the dead (and the suggestion that such a path will lead to dead oof the yearner.)

  3. Ugh...sorry about all the typos! "The gates" flew open so that the couple may pass...
